Source:
-- begin --
[1]
Diffraction record for ZrP2HO7. The powder XRD pattern is simulated, not measured: it uses a PBE-relaxed structure and Cu Kα, 1.54184 Å.
Lines closer than 0.1° are merged.

Crystal structure
abc: 5.5056 5.5056 12.0711
angles: 90.00 90.00 120.00
Space group P-3 (No. 147)
Unique sites:
1 Zr 0.0000 0.0000 0.2412 (multiplicity 2)
2 P 0.3333 0.6667 0.1034 (multiplicity 2)
3 P 0.3333 0.6667 0.6198 (multiplicity 2)
4 H 0.3333 0.6667 0.9872 (multiplicity 2)
5 O 0.1631 0.8041 0.1399 (multiplicity 6)
6 O 0.1672 0.8046 0.6627 (multiplicity 6)
7 O 0.3333 0.6667 0.4922 (multiplicity 2)

Main lines, most intense first (10° ≤ 2θ ≤ 80°):
23.78 deg, intensity 1000, hkl 1 0 2; 14.68 deg, intensity 246, hkl 0 0 2; 32.53 deg, intensity 223, hkl 1 1 0; 35.19 deg, intensity 199, hkl 1 0 4; 53.03 deg, intensity 185, hkl 2 1 2; 48.67 deg, intensity 165, hkl 2 0 4

---

[2]
Diffraction record for ZrP2H2O6. The powder XRD pattern is simulated, not measured: it uses a PBE-relaxed structure and Cu Kα, 1.54184 Å.
Lines closer than 0.1° are merged.

Crystal structure
abc: 5.5177 5.5177 5.8443
angles: 90.00 90.00 120.00
Space group P-3m1 (No. 164)
Unique sites:
1 Zr 0.0000 0.0000 0.0000 (multiplicity 1)
2 P 0.3333 0.6667 0.2822 (multiplicity 2)
3 H 0.3333 0.6667 0.5224 (multiplicity 2)
4 O 0.1797 0.3593 0.2062 (multiplicity 6)

Main lines, most intense first (10° ≤ 2θ ≤ 80°):
24.06 deg, intensity 1000, hkl 0 1 1; 36.02 deg, intensity 323, hkl 1 0 2; 15.16 deg, intensity 297, hkl 0 0 1; 18.57 deg, intensity 220, hkl 1 0 0; 49.26 deg, intensity 204, hkl 0 2 2; 32.45 deg, intensity 193, hkl 1 1 0

---

[3]
Diffraction record for Zr2P3H3O13. The powder XRD pattern is simulated, not measured: it uses a PBE-relaxed structure and Cu Kα, 1.54184 Å.
Lines closer than 0.1° are merged.

Crystal structure
abc: 8.8895 8.9009 9.4370
angles: 62.89 62.29 60.35
Space group P1 (No. 1)
Unique sites:
1 Zr 0.0000 0.0000 0.0000 (multiplicity 1)
2 Zr 0.2004 0.2148 0.3909 (multiplicity 1)
3 Zr 0.4950 0.5085 0.4999 (multiplicity 1)
4 Zr 0.7020 0.7056 0.8903 (multiplicity 1)
5 P 0.1049 0.3873 0.7043 (multiplicity 1)
6 P 0.3159 0.8928 0.1972 (multiplicity 1)
7 P 0.3892 0.8277 0.6899 (multiplicity 1)
8 P 0.6013 0.3207 0.1926 (multiplicity 1)
9 P 0.8150 0.1036 0.6929 (multiplicity 1)
10 P 0.8879 0.6070 0.1980 (multiplicity 1)
11 H 0.2884 0.3694 0.9265 (multiplicity 1)
12 H 0.4121 0.3226 0.0464 (multiplicity 1)
13 H 0.5124 0.3111 0.8338 (multiplicity 1)
14 H 0.8079 0.8416 0.4135 (multiplicity 1)
15 H 0.8457 0.8968 0.5398 (multiplicity 1)
16 H 0.9991 0.8812 0.3370 (multiplicity 1)
17 O 0.0574 0.4368 0.2274 (multiplicity 1)
18 O 0.0938 0.2140 0.8518 (multiplicity 1)
19 O 0.1217 0.3674 0.5426 (multiplicity 1)
20 O 0.1364 0.9253 0.1754 (multiplicity 1)
21 O 0.2217 0.8480 0.8485 (multiplicity 1)
22 O 0.2724 0.4222 0.6755 (multiplicity 1)
23 O 0.2850 0.0545 0.2405 (multiplicity 1)
24 O 0.3473 0.7189 0.3447 (multiplicity 1)
25 O 0.3586 0.0021 0.5425 (multiplicity 1)
26 O 0.4003 0.3617 0.9298 (multiplicity 1)
27 O 0.4185 0.6697 0.6410 (multiplicity 1)
28 O 0.4329 0.2894 0.2128 (multiplicity 1)
29 O 0.4747 0.8725 0.0354 (multiplicity 1)
30 O 0.5589 0.7869 0.7274 (multiplicity 1)
31 O 0.5772 0.3411 0.3559 (multiplicity 1)
32 O 0.6111 0.4933 0.0452 (multiplicity 1)
33 O 0.6415 0.2770 0.6742 (multiplicity 1)
34 O 0.7216 0.5843 0.3537 (multiplicity 1)
35 O 0.7736 0.1575 0.1519 (multiplicity 1)
36 O 0.7857 0.9383 0.7069 (multiplicity 1)
37 O 0.8419 0.0732 0.8549 (multiplicity 1)
38 O 0.8553 0.6315 0.0405 (multiplicity 1)
39 O 0.8991 0.8397 0.4452 (multiplicity 1)
40 O 0.9157 0.7778 0.1716 (multiplicity 1)
41 O 0.9300 0.5470 0.7491 (multiplicity 1)
42 O 0.9778 0.1305 0.5375 (multiplicity 1)

Main lines, most intense first (10° ≤ 2θ ≤ 80°):
19.91 deg, intensity 1000, hkl 1 -1 0; 27.42 deg, intensity 613, hkl 2 2 0; 29.82 deg, intensity 563, hkl 1 2 -1; 30.17 deg, intensity 487, hkl 2 1 3; 22.70 deg, intensity 483, hkl 1 2 0; 13.61 deg, intensity 475, hkl 1 0 1

---

[4]
-- stop --

What to do:
Give back everything above character by character, please.

Completed:
[1]
Diffraction record for ZrP2HO7. The powder XRD pattern is simulated, not measured: it uses a PBE-relaxed structure and Cu Kα, 1.54184 Å.
Lines closer than 0.1° are merged.

Crystal structure
abc: 5.5056 5.5056 12.0711
angles: 90.00 90.00 120.00
Space group P-3 (No. 147)
Unique sites:
1 Zr 0.0000 0.0000 0.2412 (multiplicity 2)
2 P 0.3333 0.6667 0.1034 (multiplicity 2)
3 P 0.3333 0.6667 0.6198 (multiplicity 2)
4 H 0.3333 0.6667 0.9872 (multiplicity 2)
5 O 0.1631 0.8041 0.1399 (multiplicity 6)
6 O 0.1672 0.8046 0.6627 (multiplicity 6)
7 O 0.3333 0.6667 0.4922 (multiplicity 2)

Main lines, most intense first (10° ≤ 2θ ≤ 80°):
23.78 deg, intensity 1000, hkl 1 0 2; 14.68 deg, intensity 246, hkl 0 0 2; 32.53 deg, intensity 223, hkl 1 1 0; 35.19 deg, intensity 199, hkl 1 0 4; 53.03 deg, intensity 185, hkl 2 1 2; 48.67 deg, intensity 165, hkl 2 0 4

---

[2]
Diffraction record for ZrP2H2O6. The powder XRD pattern is simulated, not measured: it uses a PBE-relaxed structure and Cu Kα, 1.54184 Å.
Lines closer than 0.1° are merged.

Crystal structure
abc: 5.5177 5.5177 5.8443
angles: 90.00 90.00 120.00
Space group P-3m1 (No. 164)
Unique sites:
1 Zr 0.0000 0.0000 0.0000 (multiplicity 1)
2 P 0.3333 0.6667 0.2822 (multiplicity 2)
3 H 0.3333 0.6667 0.5224 (multiplicity 2)
4 O 0.1797 0.3593 0.2062 (multiplicity 6)

Main lines, most intense first (10° ≤ 2θ ≤ 80°):
24.06 deg, intensity 1000, hkl 0 1 1; 36.02 deg, intensity 323, hkl 1 0 2; 15.16 deg, intensity 297, hkl 0 0 1; 18.57 deg, intensity 220, hkl 1 0 0; 49.26 deg, intensity 204, hkl 0 2 2; 32.45 deg, intensity 193, hkl 1 1 0

---

[3]
Diffraction record for Zr2P3H3O13. The powder XRD pattern is simulated, not measured: it uses a PBE-relaxed structure and Cu Kα, 1.54184 Å.
Lines closer than 0.1° are merged.

Crystal structure
abc: 8.8895 8.9009 9.4370
angles: 62.89 62.29 60.35
Space group P1 (No. 1)
Unique sites:
1 Zr 0.0000 0.0000 0.0000 (multiplicity 1)
2 Zr 0.2004 0.2148 0.3909 (multiplicity 1)
3 Zr 0.4950 0.5085 0.4999 (multiplicity 1)
4 Zr 0.7020 0.7056 0.8903 (multiplicity 1)
5 P 0.1049 0.3873 0.7043 (multiplicity 1)
6 P 0.3159 0.8928 0.1972 (multiplicity 1)
7 P 0.3892 0.8277 0.6899 (multiplicity 1)
8 P 0.6013 0.3207 0.1926 (multiplicity 1)
9 P 0.8150 0.1036 0.6929 (multiplicity 1)
10 P 0.8879 0.6070 0.1980 (multiplicity 1)
11 H 0.2884 0.3694 0.9265 (multiplicity 1)
12 H 0.4121 0.3226 0.0464 (multiplicity 1)
13 H 0.5124 0.3111 0.8338 (multiplicity 1)
14 H 0.8079 0.8416 0.4135 (multiplicity 1)
15 H 0.8457 0.8968 0.5398 (multiplicity 1)
16 H 0.9991 0.8812 0.3370 (multiplicity 1)
17 O 0.0574 0.4368 0.2274 (multiplicity 1)
18 O 0.0938 0.2140 0.8518 (multiplicity 1)
19 O 0.1217 0.3674 0.5426 (multiplicity 1)
20 O 0.1364 0.9253 0.1754 (multiplicity 1)
21 O 0.2217 0.8480 0.8485 (multiplicity 1)
22 O 0.2724 0.4222 0.6755 (multiplicity 1)
23 O 0.2850 0.0545 0.2405 (multiplicity 1)
24 O 0.3473 0.7189 0.3447 (multiplicity 1)
25 O 0.3586 0.0021 0.5425 (multiplicity 1)
26 O 0.4003 0.3617 0.9298 (multiplicity 1)
27 O 0.4185 0.6697 0.6410 (multiplicity 1)
28 O 0.4329 0.2894 0.2128 (multiplicity 1)
29 O 0.4747 0.8725 0.0354 (multiplicity 1)
30 O 0.5589 0.7869 0.7274 (multiplicity 1)
31 O 0.5772 0.3411 0.3559 (multiplicity 1)
32 O 0.6111 0.4933 0.0452 (multiplicity 1)
33 O 0.6415 0.2770 0.6742 (multiplicity 1)
34 O 0.7216 0.5843 0.3537 (multiplicity 1)
35 O 0.7736 0.1575 0.1519 (multiplicity 1)
36 O 0.7857 0.9383 0.7069 (multiplicity 1)
37 O 0.8419 0.0732 0.8549 (multiplicity 1)
38 O 0.8553 0.6315 0.0405 (multiplicity 1)
39 O 0.8991 0.8397 0.4452 (multiplicity 1)
40 O 0.9157 0.7778 0.1716 (multiplicity 1)
41 O 0.9300 0.5470 0.7491 (multiplicity 1)
42 O 0.9778 0.1305 0.5375 (multiplicity 1)

Main lines, most intense first (10° ≤ 2θ ≤ 80°):
19.91 deg, intensity 1000, hkl 1 -1 0; 27.42 deg, intensity 613, hkl 2 2 0; 29.82 deg, intensity 563, hkl 1 2 -1; 30.17 deg, intensity 487, hkl 2 1 3; 22.70 deg, intensity 483, hkl 1 2 0; 13.61 deg, intensity 475, hkl 1 0 1

---

[4]